Wanted.
Return everything further below word for word.

Data.
'''
[1]
Li2TaSe2 | PBE | optimized geometry

The density of states at the Fermi level comes out at 0.470 states/eV/atom. For the energy relative to the elements, uncorrected, the calculation gives -3.14 eV/f.u.

```
data_Li2TaSe2
_space_group_name_H-M_alt 'P 4/m b m'
_space_group_IT_number 127
_space_group_name_Hall '-P 4 2ab'
_cell_length_a 6.974
_cell_length_b 6.974
_cell_length_c 3.552
_cell_angle_alpha 90.00
_cell_angle_beta 90.00
_cell_angle_gamma 90.00
loop_
_atom_site_label
_atom_site_type_symbol
_atom_site_fract_x
_atom_site_fract_y
_atom_site_fract_z
Li1 Li 0.142 0.358 0.000
Ta1 Ta 0.000 0.000 0.500
Se1 Se 0.173 0.673 0.500
```



[2]
LiTaSe2 | PBE | optimized geometry

The density of states at the Fermi level comes out at 0.402 states/eV/atom. For the energy relative to the elements, uncorrected, the calculation gives -2.41 eV/f.u.

```
data_LiTaSe2
_space_group_name_H-M_alt 'P 4 m m'
_space_group_IT_number 99
_space_group_name_Hall 'P 4 -2'
_cell_length_a 3.764
_cell_length_b 3.764
_cell_length_c 5.183
_cell_angle_alpha 90.00
_cell_angle_beta 90.00
_cell_angle_gamma 90.00
loop_
_atom_site_label
_atom_site_type_symbol
_atom_site_fract_x
_atom_site_fract_y
_atom_site_fract_z
Li1 Li 0.000 0.000 0.000
Ta1 Ta 0.500 0.500 0.499
Se1 Se 0.000 0.000 0.500
Se2 Se 0.500 0.500 0.999
```



[3]
LiTaSe2 | PBE | optimized geometry

The density of states at the Fermi level comes out at 0.095 states/eV/atom. For the energy relative to the elements, uncorrected, the calculation gives -2.99 eV/f.u.

```
data_LiTaSe2
_space_group_name_H-M_alt 'P 1 2/m 1'
_space_group_IT_number 10
_space_group_name_Hall '-P 2y'
_cell_length_a 3.257
_cell_length_b 3.254
_cell_length_c 6.834
_cell_angle_alpha 90.00
_cell_angle_beta 99.57
_cell_angle_gamma 90.00
loop_
_atom_site_label
_atom_site_type_symbol
_atom_site_fract_x
_atom_site_fract_y
_atom_site_fract_z
Li1 Li 0.000 0.000 0.000
Ta1 Ta 0.000 0.000 0.500
Se1 Se 0.418 0.500 0.273
```



[4]
LiTaSe | PBE | optimized geometry

The density of states at the Fermi level comes out at 0.035 states/eV/atom. As for the polymorph energy (0 for the lowest one): 0 meV/atom. For the energy relative to the elements, uncorrected, the calculation gives -0.71 eV/f.u.

```
data_LiTaSe
_space_group_name_H-M_alt 'P 3 m 1'
_space_group_IT_number 156
_space_group_name_Hall 'P 3 -2"'
_cell_length_a 3.2160
_cell_length_b 3.2160
_cell_length_c 6.3865
_cell_angle_alpha 90.00
_cell_angle_beta 90.00
_cell_angle_gamma 120.00
loop_
_atom_site_label
_atom_site_type_symbol
_atom_site_fract_x
_atom_site_fract_y
_atom_site_fract_z
Li1 Li 0.0000 0.0000 0.0000
Ta1 Ta 0.6667 0.3333 0.6076
Se1 Se 0.3333 0.6667 0.3292
```



> Number 3 is which compound?

LiTaSe2



> The lowest energy relative to the elements, uncorrected belongs to which entry?

Li2TaSe2



> Look up the energy relative to the elements, uncorrected of the second one.

-2.41 eV/f.u.



> energy relative to the elements, uncorrected of number 1 (Li2TaSe2)?

-3.14 eV/f.u.

=====

Here is Er3UN4 after structural relaxation from OQMD via LeMat-Bulk. Energies are from PBE.

Cell and atoms, written as POSCAR:
```
Er3UN4
1.0
3.4261 -4.8032 0.0000
3.4261 4.8032 0.0000
0.0000 0.0000 3.4107
Er N U
3 4 1
direct
0.5000 0.0000 0.0000
0.0000 0.5000 0.0000
0.5000 0.5000 0.5000
0.2440 0.2440 0.0000
0.7560 0.7560 0.0000
0.7600 0.2400 0.5000
0.2400 0.7600 0.5000
'''

Reply.
[1]
Li2TaSe2 | PBE | optimized geometry

The density of states at the Fermi level comes out at 0.470 states/eV/atom. For the energy relative to the elements, uncorrected, the calculation gives -3.14 eV/f.u.

```
data_Li2TaSe2
_space_group_name_H-M_alt 'P 4/m b m'
_space_group_IT_number 127
_space_group_name_Hall '-P 4 2ab'
_cell_length_a 6.974
_cell_length_b 6.974
_cell_length_c 3.552
_cell_angle_alpha 90.00
_cell_angle_beta 90.00
_cell_angle_gamma 90.00
loop_
_atom_site_label
_atom_site_type_symbol
_atom_site_fract_x
_atom_site_fract_y
_atom_site_fract_z
Li1 Li 0.142 0.358 0.000
Ta1 Ta 0.000 0.000 0.500
Se1 Se 0.173 0.673 0.500
```



[2]
LiTaSe2 | PBE | optimized geometry

The density of states at the Fermi level comes out at 0.402 states/eV/atom. For the energy relative to the elements, uncorrected, the calculation gives -2.41 eV/f.u.

```
data_LiTaSe2
_space_group_name_H-M_alt 'P 4 m m'
_space_group_IT_number 99
_space_group_name_Hall 'P 4 -2'
_cell_length_a 3.764
_cell_length_b 3.764
_cell_length_c 5.183
_cell_angle_alpha 90.00
_cell_angle_beta 90.00
_cell_angle_gamma 90.00
loop_
_atom_site_label
_atom_site_type_symbol
_atom_site_fract_x
_atom_site_fract_y
_atom_site_fract_z
Li1 Li 0.000 0.000 0.000
Ta1 Ta 0.500 0.500 0.499
Se1 Se 0.000 0.000 0.500
Se2 Se 0.500 0.500 0.999
```



[3]
LiTaSe2 | PBE | optimized geometry

The density of states at the Fermi level comes out at 0.095 states/eV/atom. For the energy relative to the elements, uncorrected, the calculation gives -2.99 eV/f.u.

```
data_LiTaSe2
_space_group_name_H-M_alt 'P 1 2/m 1'
_space_group_IT_number 10
_space_group_name_Hall '-P 2y'
_cell_length_a 3.257
_cell_length_b 3.254
_cell_length_c 6.834
_cell_angle_alpha 90.00
_cell_angle_beta 99.57
_cell_angle_gamma 90.00
loop_
_atom_site_label
_atom_site_type_symbol
_atom_site_fract_x
_atom_site_fract_y
_atom_site_fract_z
Li1 Li 0.000 0.000 0.000
Ta1 Ta 0.000 0.000 0.500
Se1 Se 0.418 0.500 0.273
```



[4]
LiTaSe | PBE | optimized geometry

The density of states at the Fermi level comes out at 0.035 states/eV/atom. As for the polymorph energy (0 for the lowest one): 0 meV/atom. For the energy relative to the elements, uncorrected, the calculation gives -0.71 eV/f.u.

```
data_LiTaSe
_space_group_name_H-M_alt 'P 3 m 1'
_space_group_IT_number 156
_space_group_name_Hall 'P 3 -2"'
_cell_length_a 3.2160
_cell_length_b 3.2160
_cell_length_c 6.3865
_cell_angle_alpha 90.00
_cell_angle_beta 90.00
_cell_angle_gamma 120.00
loop_
_atom_site_label
_atom_site_type_symbol
_atom_site_fract_x
_atom_site_fract_y
_atom_site_fract_z
Li1 Li 0.0000 0.0000 0.0000
Ta1 Ta 0.6667 0.3333 0.6076
Se1 Se 0.3333 0.6667 0.3292
```



> Number 3 is which compound?

LiTaSe2



> The lowest energy relative to the elements, uncorrected belongs to which entry?

Li2TaSe2



> Look up the energy relative to the elements, uncorrected of the second one.

-2.41 eV/f.u.



> energy relative to the elements, uncorrected of number 1 (Li2TaSe2)?

-3.14 eV/f.u.

=====

Here is Er3UN4 after structural relaxation from OQMD via LeMat-Bulk. Energies are from PBE.

Cell and atoms, written as POSCAR:
```
Er3UN4
1.0
3.4261 -4.8032 0.0000
3.4261 4.8032 0.0000
0.0000 0.0000 3.4107
Er N U
3 4 1
direct
0.5000 0.0000 0.0000
0.0000 0.5000 0.0000
0.5000 0.5000 0.5000
0.2440 0.2440 0.0000
0.7560 0.7560 0.0000
0.7600 0.2400 0.5000
0.2400 0.7600 0.5000